== File ==
Diffraction record for Li4Mn7O9F7. The XRD peak list is calculated, not measured: it uses a GGA+U-relaxed structure and Cu Kα.
Peak positions follow from Bragg's law for the DFT cell and can differ from measured ones.

Principal peaks in the range 10° ≤ 2θ ≤ 90°, in order of rising 2θ:
17.6 deg, rel. 22
18.1 deg, rel. 100
33.1 deg, rel. 16
35.5 deg, rel. 21
40.3 deg, rel. 29
43.3 deg, rel. 48
60.0 deg, rel. 16
61.3 deg, rel. 14

a b c (Å): 6.0606 6.0606 10.9150
angles (deg): 109.71 109.71 57.62
Atoms (fractional coordinates):
Li 0.0000 0.0000 0.0000
Li 0.1060 0.1060 0.3987
Li 0.5111 0.5111 0.4953
Li 0.6224 0.6224 0.8829
Mn 0.0634 0.5614 0.7018
Mn 0.0653 0.5466 0.2018
Mn 0.0708 0.0708 0.7040
Mn 0.3051 0.3051 0.9435
Mn 0.5466 0.0653 0.2018
Mn 0.5614 0.0634 0.7018
Mn 0.8005 0.8005 0.4442
O 0.1887 0.1887 0.6018
O 0.2037 0.2037 0.0864
O 0.4062 0.4062 0.3080
O 0.4141 0.9668 0.8220
O 0.4209 0.4209 0.8064
O 0.7173 0.7173 0.5761
O 0.8947 0.8947 0.3214
O 0.9393 0.9393 0.7907
O 0.9668 0.4141 0.8220
F 0.1693 0.6640 0.0581
F 0.1716 0.7142 0.5644
F 0.4411 0.9285 0.3424
F 0.6640 0.1693 0.0581
F 0.6977 0.6977 0.0853
F 0.7142 0.1716 0.5644
F 0.9285 0.4411 0.3424

=====

Record 1
Structure and calculated powder X-ray diffraction pattern of SiNi4 (a DFT-relaxed cell (GGA-PBE, Alexandria); Cu Kα X-rays).
Peak positions follow from Bragg's law for the DFT cell and can differ from measured ones.

Structure:
```
data_SiNi4
_chemical_formula_sum 'Si2 Ni8'
_cell_length_a 6.7559
_cell_length_b 6.7559
_cell_length_c 6.7559
_cell_angle_alpha 147.74
_cell_angle_beta 138.04
_cell_angle_gamma 53.90
_space_group_name_H-M_alt 'P 1'
_space_group_IT_number 1
loop_
_space_group_symop_operation_xyz
'x,y,z'
loop_
_atom_site_label
_atom_site_fract_x
_atom_site_fract_y
_atom_site_fract_z
_atom_site_occupancy
Si1 0.3588 0.1088 0.2500 1
Si2 0.6412 0.8912 0.7500 1
Ni1 0.0000 0.5000 0.5000 1
Ni2 0.1519 0.9019 0.2500 1
Ni3 0.1944 0.6950 0.4994 1
Ni4 0.3045 0.3050 0.9994 1
Ni5 0.5000 0.5000 0.0000 1
Ni6 0.6955 0.6950 0.0006 1
Ni7 0.8056 0.3050 0.5006 1
Ni8 0.8481 0.0981 0.7500 1
```

Top 10 peaks for 15° ≤ 2θ ≤ 90°, sorted by position:
| 2θ/deg | d/Å | intensity |
| --- | --- | --- |
| 37.2 | 2.419 | 11 |
| 44.7 | 2.027 | 100 |
| 45.2 | 2.005 | 82 |
| 48.3 | 1.886 | 27 |
| 48.5 | 1.877 | 40 |
| 59.9 | 1.545 | 19 |
| 70.8 | 1.330 | 16 |
| 80.5 | 1.193 | 15 |
| 87.9 | 1.110 | 13 |
| 88.3 | 1.107 | 11 |

***

Record 2
Structure and calculated powder X-ray diffraction pattern of SiNi2 (a DFT-relaxed cell (GGA-PBE, Alexandria); Cu Kα X-rays).
Peak positions follow from Bragg's law for the DFT cell and can differ from measured ones.

Structure:
```
data_SiNi2
_chemical_formula_sum 'Si4 Ni8'
_cell_length_a 4.9898
_cell_length_b 3.7329
_cell_length_c 7.0901
_cell_angle_alpha 90.00
_cell_angle_beta 90.00
_cell_angle_gamma 90.00
_space_group_name_H-M_alt 'P 1'
_space_group_IT_number 1
loop_
_space_group_symop_operation_xyz
'x,y,z'
loop_
_atom_site_label
_atom_site_fract_x
_atom_site_fract_y
_atom_site_fract_z
_atom_site_occupancy
Si1 0.2109 0.2500 0.1136 1
Si2 0.2891 0.7500 0.6136 1
Si3 0.7109 0.2500 0.3864 1
Si4 0.7891 0.7500 0.8864 1
Ni1 0.0401 0.2500 0.7938 1
Ni2 0.1712 0.2500 0.4394 1
Ni3 0.3288 0.7500 0.9394 1
Ni4 0.4599 0.7500 0.2938 1
Ni5 0.5401 0.2500 0.7062 1
Ni6 0.6712 0.2500 0.0606 1
Ni7 0.8288 0.7500 0.5606 1
Ni8 0.9599 0.7500 0.2062 1
```

Top 10 peaks for 15° ≤ 2θ ≤ 90°, sorted by position:
| 2θ/deg | d/Å | intensity |
| --- | --- | --- |
| 32.5 | 2.754 | 25 |
| 39.4 | 2.285 | 43 |
| 42.3 | 2.136 | 30 |
| 43.6 | 2.074 | 69 |
| 44.4 | 2.040 | 40 |
| 45.4 | 1.997 | 100 |
| 45.6 | 1.991 | 87 |
| 48.8 | 1.866 | 62 |
| 49.1 | 1.854 | 25 |
| 53.4 | 1.716 | 25 |

***

Record 3
Structure and calculated powder X-ray diffraction pattern of Sm6Si3Ni2 (a DFT-relaxed cell (GGA-PBE, Alexandria); Cu Kα X-rays).
Peak positions follow from Bragg's law for the DFT cell and can differ from measured ones.

Structure:
```
data_Sm6Si3Ni2
_chemical_formula_sum 'Sm12 Si6 Ni4'
== Job ==
Reproduce only the lines earlier on with the word "angles" in them.
== Worked solution ==
angles (deg): 109.71 109.71 57.62